2.4 Affordances & Constraints

........
(1)
Calculated powder diffractogram
Compound: MgB2O2
Radiation: Cu Kα, 1.54184 Å
Structure: the GGA-PBE geometry in Alexandria

Crystal structure
```
MgB2O2
1.0
7.4335 0.0000 0.0000
0.0000 7.4335 0.0000
0.0000 0.0000 2.4893
Mg B O
2 4 4
Cartesian
0.0000 0.0000 0.0000
3.7168 3.7168 0.0000
0.5937 3.1230 1.2447
3.1230 6.8398 1.2447
4.3105 0.5937 1.2447
6.8398 4.3105 1.2447
1.0927 2.6241 0.0000
2.6241 6.3408 0.0000
4.8094 1.0927 0.0000
6.3408 4.8094 0.0000
```

Largest 12 diffraction maxima, by intensity, 10 to 90 degrees two-theta:
26.8 deg, intensity 100.0, hkl 2 1 0; 38.3 deg, intensity 59.9, hkl 3 1 0; 53.6 deg, intensity 42.4, hkl 3 1 1; 23.9 deg, intensity 39.3, hkl 2 0 0; 34.1 deg, intensity 24.2, hkl 2 2 0; 40.1 deg, intensity 18.7, hkl 1 1 1; 36.1 deg, intensity 17.6, hkl 0 0 1; 67.8 deg, intensity 13.3, hkl 4 2 1; 45.5 deg, intensity 12.1, hkl 2 1 1; 43.9 deg, intensity 11.5, hkl 3 2 0; 55.3 deg, intensity 9.0, hkl 4 2 0; 63.9 deg, intensity 9.0, hkl 5 1 0

---

(2)
Calculated powder diffractogram
Compound: Gd6CoBr10
Radiation: Cu Kα, 1.54184 Å
Structure: the GGA-PBE geometry in Alexandria

Crystal structure
```
Gd6CoBr10
1.0
7.4329 0.0000 0.0000
-2.3933 8.8906 0.0000
-1.0796 -3.2361 8.6513
Gd Co Br
6 1 10
Cartesian
-0.6914 0.5580 3.5632
-0.6589 4.0425 2.2287
0.4047 3.4358 5.8644
3.5554 2.2187 2.7869
4.6190 1.6120 6.4226
4.6515 5.0965 5.0881
-1.7364 2.8273 4.3256
-1.7935 6.6924 2.8312
0.8860 1.6927 1.3482
-0.5862 2.0867 8.2704
-0.5731 5.9512 6.6891
1.9738 0.9514 5.0612
1.9863 4.7031 3.5901
4.5332 -0.2966 1.9622
4.5463 3.5678 0.3809
3.0741 3.9618 7.3031
5.7536 -1.0379 5.8201
```

Largest 12 diffraction maxima, by intensity, 10 to 90 degrees two-theta:
29.5 deg, intensity 100.0, hkl 2 0 1; 30.4 deg, intensity 99.0, hkl 1 1 -3; 30.7 deg, intensity 91.1, hkl 1 -3 0; 10.2 deg, intensity 68.3, hkl 0 0 1; 10.6 deg, intensity 66.5, hkl 0 1 0; 43.6 deg, intensity 62.3, hkl 1 3 1; 43.1 deg, intensity 36.5, hkl 1 -1 4; 43.8 deg, intensity 32.2, hkl 0 4 -3; 42.5 deg, intensity 31.2, hkl 3 1 -2; 42.6 deg, intensity 30.8, hkl 3 -3 1; 11.9 deg, intensity 25.2, hkl 0 1 -1; 12.6 deg, intensity 24.5, hkl 1 0 0

---

(3)
Calculated powder diffractogram
Compound: SnHg2F6
Radiation: Cu Kα, 1.54184 Å
Structure: the GGA-PBE geometry in Alexandria

Crystal structure
```
SnHg2F6
1.0
6.3292 0.0000 0.0000
0.0000 6.3292 0.0000
0.0000 0.0000 9.6212
Sn Hg F
2 4 12
Cartesian
0.0000 0.0000 0.0000
3.1646 3.1646 4.8106
0.0000 0.0000 3.5122
0.0000 0.0000 6.1090
3.1646 3.1646 1.2984
3.1646 3.1646 8.3228
0.9631 0.9631 1.5170
0.9631 0.9631 8.1041
1.3904 4.9388 0.0000
1.7742 1.7742 4.8106
2.2015 4.1276 3.2935
2.2015 4.1276 6.3276
4.1276 2.2015 3.2935
4.1276 2.2015 6.3276
4.5550 4.5550 4.8106
4.9388 1.3904 0.0000
5.3661 5.3661 1.5170
5.3661 5.3661 8.1041
```

Largest 12 diffraction maxima, by intensity, 10 to 90 degrees two-theta:
........
# The piece goes on

Just watch the first 1:30 minutes of this (silly) video. It underscores how technology has its limitations...when used for the wrong reasons!

One of our important tasks as tech integrators is to think through all the pros (affordances) and cons (constraints) of a given tool/app/resource. We can do this by developing a mindset to consider affordances and constraints.

Affordances can be defined as attributes associated with technology that enhance teaching or learning, and which create "possibilities for agentic action" (Hutchby, 2001, p. 444).

Constraints, on the other hand, limit affordances. Friedhoff (2008), asserts that teachers "...must perpetually examine how technology selection facilitates and constrains the intended learning outcomes..." (p. 117).


I created this 6-minute video for you as an overview of Friedhoff's article that forms an important part of our critical analysis concerning affordances and constraints as well as a how-to use guide for the Affordances & Constraints Reflection Journal that you will be using throughout the course. Please watch it before moving on.


Take your time reading the short, six-page article (posted below) by Freidhoff (2008). He describes a 3-step process for assessing the affordances and constraints of technology. You will use this practice each time you work in your Affordances & Constraints Reflection Journal.

The article provides an excellent example of one teacher's thinking process as he evaluated whether to use discussion boards or blogs for his students' reflective writing and it illuminates why he chose blogs:

Reflecting on Affordances and Constraints and Their Impact on Pedagogical Practices (Freidhoff, 2008)


To assess affordances and constraints, you will need to critically evaluate the tool, app or resource you are considering against a number of qualities. Below are 6 guiding questions you can use as you apply your skills and knowledge to asses the Affordances & Constraints:

  1. What is the learning objective and how will this tool/app/resource allow us to reach it? Note: This is the first-step in Freidhoff's process, "Identifying Technology Pertinent Principles"
  2. Will this tool/app/resource allow us to achieve efficiency, effectiveness and engagement? Professor David Merrill uses the 3Es to determine affordances and constraints. The 3Es are similar to Freidhoff's second step, "Evaluating Potential Technologies"
  3. What are the privacy and terms of service that may impact our use of this tool/app/resource?
  4. What are the technological, costs and systems requirements?
  5. Is there a steep learning curve in order to use this tool/app/resource?
  6. How does this tool/app/resource enable us to achieve higher order thinking and sustainable practice? This step is similar to Freidhoff's step three, "Assessing Technology Implementation"

You will have the opportunity to practice developing this mindset when you complete the Affordances & Constraints Reflection Journal. There will be six opportunities to use this journal. The first one concerns Virtual Bulletin Boards.

For this Module 2, you will practice evaluating the virtual bulletin board tool, Padlet (the tool we used to share our SAMR Lesson Resign):

  1. Complete the first Affordances & Constraints Reflection Journal for Virtual Bulletin Boards - PADLET. Use this form to share this Journal with me by the March 12, 2017, 11:59 pm.
  2. As part of the Journal, you will be adding a tool, app or resource that you have curated and vetted to the Virtual ToolBox (see form below). Each time you complete the Journal, you will curate and vet a tool. Make sure you are selecting the appropriate tab -- you'll see the tabs at the bottom of the ToolBox form. For your first tool, you will be curating a Virtual Bulletin Board tool, app or resource. You will rely on your expertise to vet the tool for its usefulness for teaching and learning, and its COPPA and FERPA compliance. Due: March 12, 2017, 11:59 pm
Virtual ToolBox

When you have completed this module, move onto Mod 3.